(Brief)
Please transcribe all of the rows below with every line break kept.
(Data)
=====
Record 1
This entry pairs a crystal structure of GdSiBO5 with its calculated X-ray diffraction stick pattern. Radiation: Cu Ka. Structure: a DFT-relaxed cell (GGA-PBE, OQMD).
Lines closer than 0.1° are merged.

The 10 most intense peaks (15 to 90 degrees two-theta), by angle:
| d (Å) | 2θ (°) | I_rel | (hkl) |
| --- | --- | --- | --- |
| 4.337 | 20.48 | 100 | 0 1 1 |
| 3.346 | 26.64 | 67 | 1 1 0 |
| 2.897 | 30.86 | 56 | 2 0 0 |
| 2.848 | 31.41 | 85 | 1 0 2 |
| 2.169 | 41.65 | 18 | 0 2 2 |
| 2.077 | 43.58 | 50 | 2 1 1 |
| 1.820 | 50.13 | 57 | 1 2 2 |
| 1.663 | 55.23 | 17 | 3 0 2 |
| 1.607 | 57.33 | 24 | 3 1 0 |
| 1.310 | 72.08 | 17 | 2 1 4 |

Atomic structure:
```
data_GdSiBO5
_symmetry_space_group_name_H-M 'P 31'
_symmetry_Int_Tables_number 144
_cell_length_a 6.6911
_cell_length_b 6.6911
_cell_length_c 6.5408
_cell_angle_alpha 90.00
_cell_angle_beta 90.00
_cell_angle_gamma 120.00
loop_
_symmetry_equiv_pos_as_xyz
'x,y,z'
'-y,x-y,z+1/3'
'-x+y,-x,z+2/3'
loop_
_atom_site_label
_atom_site_type_symbol
_atom_site_fract_x
_atom_site_fract_y
_atom_site_fract_z
Gd1 Gd 0.0014 0.5810 0.0000
Si1 Si 0.0014 0.5754 0.5036
B1 B 0.1183 0.0174 0.6371
O1 O 0.0743 0.0598 0.4305
O2 O 0.1416 0.8047 0.6554
O3 O 0.1504 0.5398 0.3289
O4 O 0.3590 0.1964 0.6944
O5 O 0.5171 0.1366 0.3391
```

Record 2
This entry pairs a crystal structure of Li4CdPt2Pb with its calculated X-ray diffraction stick pattern. Radiation: Cu Ka. Structure: a DFT-relaxed cell (GGA-PBE, OQMD).
Lines closer than 0.1° are merged.

The 10 most intense peaks (15 to 90 degrees two-theta), by angle:
| d (Å) | 2θ (°) | I_rel | (hkl) |
| --- | --- | --- | --- |
| 3.692 | 24.11 | 100 | 1 0 1 |
| 2.274 | 39.63 | 31 | 2 0 0 |
| 2.254 | 40.00 | 60 | 1 1 2 |
| 1.936 | 46.93 | 34 | 2 1 1 |
| 1.912 | 47.57 | 17 | 1 0 3 |
| 1.608 | 57.29 | 11 | 2 2 0 |
| 1.463 | 63.59 | 14 | 2 1 3 |
| 1.309 | 72.16 | 21 | 3 1 2 |
| 1.298 | 72.90 | 10 | 2 0 4 |
| 1.237 | 77.10 | 8 | 3 2 1 |

Atomic structure:
```
data_Li4CdPt2Pb
_symmetry_space_group_name_H-M 'P -4 m 2'
_symmetry_Int_Tables_number 115
_cell_length_a 4.5483
_cell_length_b 4.5483
_cell_length_c 6.3198
_cell_angle_alpha 90.00
_cell_angle_beta 90.00
_cell_angle_gamma 90.00
loop_
_symmetry_equiv_pos_as_xyz
'x,y,z'
'y,-x,-z'
'-x,-y,z'
'-y,x,-z'
'-x,y,z'
'-y,-x,-z'
'x,-y,z'
'y,x,-z'
loop_
_atom_site_label
_atom_site_type_symbol
_atom_site_fract_x
_atom_site_fract_y
_atom_site_fract_z
Li1 Li 0.0000 0.0000 0.0000
Li2 Li 0.0000 0.5000 0.7320
Li3 Li 0.5000 0.5000 0.5000
Cd1 Cd 0.0000 0.0000 0.5000
Pt1 Pt 0.0000 0.5000 0.2514
Pb1 Pb 0.5000 0.5000 0.0000
```

Record 3
This entry pairs a crystal structure of SrMgAlZn2 with its calculated X-ray diffraction stick pattern. Radiation: Cu Ka. Structure: a DFT-relaxed cell (GGA-PBE, OQMD).
Lines closer than 0.1° are merged.

The 10 most intense peaks (15 to 90 degrees two-theta), by angle:
| d (Å) | 2θ (°) | I_rel | (hkl) |
| --- | --- | --- | --- |
| 4.171 | 21.30 | 13 | 1 0 1 |
| 2.884 | 31.01 | 33 | 1 0 3 |
| 2.823 | 31.70 | 15 | 0 0 4 |
| 2.767 | 32.36 | 100 | 1 1 2 |
| 2.244 | 40.18 | 42 | 2 0 0 |
| 1.771 | 51.60 | 15 | 2 1 3 |
| 1.757 | 52.06 | 15 | 2 0 4 |
| 1.619 | 56.88 | 18 | 1 1 6 |
| 1.587 | 58.13 | 14 | 2 2 0 |
| 1.377 | 68.11 | 22 | 3 1 2 |

Atomic structure:
```
data_SrMgAlZn2
_symmetry_space_group_name_H-M 'I 4 m m'
_symmetry_Int_Tables_number 107
_symmetry_space_group_name_Hall 'I 4 -2'
_cell_length_a 4.4887
_cell_length_b 4.4887
_cell_length_c 11.2903
_cell_angle_alpha 90.00
_cell_angle_beta 90.00
_cell_angle_gamma 90.00
loop_
_atom_site_label
_atom_site_type_symbol
_atom_site_fract_x
_atom_site_fract_y
_atom_site_fract_z
Sr1 Sr 0.0000 0.0000 0.0000
Mg1 Mg 0.0000 0.0000 0.3740
Al1 Al 0.0000 0.0000 0.6238
Zn1 Zn 0.0000 0.5000 0.2368
```

Record 4
This entry pairs a crystal structure of CuH6C9INCl with its calculated X-ray diffraction stick pattern. Radiation: Cu Ka. Structure: a DFT-relaxed cell (GGA-PBE, OQMD).
Lines closer than 0.1° are merged.
=====
(Here it is)
Record 1
This entry pairs a crystal structure of GdSiBO5 with its calculated X-ray diffraction stick pattern. Radiation: Cu Ka. Structure: a DFT-relaxed cell (GGA-PBE, OQMD).
Lines closer than 0.1° are merged.

The 10 most intense peaks (15 to 90 degrees two-theta), by angle:
| d (Å) | 2θ (°) | I_rel | (hkl) |
| --- | --- | --- | --- |
| 4.337 | 20.48 | 100 | 0 1 1 |
| 3.346 | 26.64 | 67 | 1 1 0 |
| 2.897 | 30.86 | 56 | 2 0 0 |
| 2.848 | 31.41 | 85 | 1 0 2 |
| 2.169 | 41.65 | 18 | 0 2 2 |
| 2.077 | 43.58 | 50 | 2 1 1 |
| 1.820 | 50.13 | 57 | 1 2 2 |
| 1.663 | 55.23 | 17 | 3 0 2 |
| 1.607 | 57.33 | 24 | 3 1 0 |
| 1.310 | 72.08 | 17 | 2 1 4 |

Atomic structure:
```
data_GdSiBO5
_symmetry_space_group_name_H-M 'P 31'
_symmetry_Int_Tables_number 144
_cell_length_a 6.6911
_cell_length_b 6.6911
_cell_length_c 6.5408
_cell_angle_alpha 90.00
_cell_angle_beta 90.00
_cell_angle_gamma 120.00
loop_
_symmetry_equiv_pos_as_xyz
'x,y,z'
'-y,x-y,z+1/3'
'-x+y,-x,z+2/3'
loop_
_atom_site_label
_atom_site_type_symbol
_atom_site_fract_x
_atom_site_fract_y
_atom_site_fract_z
Gd1 Gd 0.0014 0.5810 0.0000
Si1 Si 0.0014 0.5754 0.5036
B1 B 0.1183 0.0174 0.6371
O1 O 0.0743 0.0598 0.4305
O2 O 0.1416 0.8047 0.6554
O3 O 0.1504 0.5398 0.3289
O4 O 0.3590 0.1964 0.6944
O5 O 0.5171 0.1366 0.3391
```

Record 2
This entry pairs a crystal structure of Li4CdPt2Pb with its calculated X-ray diffraction stick pattern. Radiation: Cu Ka. Structure: a DFT-relaxed cell (GGA-PBE, OQMD).
Lines closer than 0.1° are merged.

The 10 most intense peaks (15 to 90 degrees two-theta), by angle:
| d (Å) | 2θ (°) | I_rel | (hkl) |
| --- | --- | --- | --- |
| 3.692 | 24.11 | 100 | 1 0 1 |
| 2.274 | 39.63 | 31 | 2 0 0 |
| 2.254 | 40.00 | 60 | 1 1 2 |
| 1.936 | 46.93 | 34 | 2 1 1 |
| 1.912 | 47.57 | 17 | 1 0 3 |
| 1.608 | 57.29 | 11 | 2 2 0 |
| 1.463 | 63.59 | 14 | 2 1 3 |
| 1.309 | 72.16 | 21 | 3 1 2 |
| 1.298 | 72.90 | 10 | 2 0 4 |
| 1.237 | 77.10 | 8 | 3 2 1 |

Atomic structure:
```
data_Li4CdPt2Pb
_symmetry_space_group_name_H-M 'P -4 m 2'
_symmetry_Int_Tables_number 115
_cell_length_a 4.5483
_cell_length_b 4.5483
_cell_length_c 6.3198
_cell_angle_alpha 90.00
_cell_angle_beta 90.00
_cell_angle_gamma 90.00
loop_
_symmetry_equiv_pos_as_xyz
'x,y,z'
'y,-x,-z'
'-x,-y,z'
'-y,x,-z'
'-x,y,z'
'-y,-x,-z'
'x,-y,z'
'y,x,-z'
loop_
_atom_site_label
_atom_site_type_symbol
_atom_site_fract_x
_atom_site_fract_y
_atom_site_fract_z
Li1 Li 0.0000 0.0000 0.0000
Li2 Li 0.0000 0.5000 0.7320
Li3 Li 0.5000 0.5000 0.5000
Cd1 Cd 0.0000 0.0000 0.5000
Pt1 Pt 0.0000 0.5000 0.2514
Pb1 Pb 0.5000 0.5000 0.0000
```

Record 3
This entry pairs a crystal structure of SrMgAlZn2 with its calculated X-ray diffraction stick pattern. Radiation: Cu Ka. Structure: a DFT-relaxed cell (GGA-PBE, OQMD).
Lines closer than 0.1° are merged.

The 10 most intense peaks (15 to 90 degrees two-theta), by angle:
| d (Å) | 2θ (°) | I_rel | (hkl) |
| --- | --- | --- | --- |
| 4.171 | 21.30 | 13 | 1 0 1 |
| 2.884 | 31.01 | 33 | 1 0 3 |
| 2.823 | 31.70 | 15 | 0 0 4 |
| 2.767 | 32.36 | 100 | 1 1 2 |
| 2.244 | 40.18 | 42 | 2 0 0 |
| 1.771 | 51.60 | 15 | 2 1 3 |
| 1.757 | 52.06 | 15 | 2 0 4 |
| 1.619 | 56.88 | 18 | 1 1 6 |
| 1.587 | 58.13 | 14 | 2 2 0 |
| 1.377 | 68.11 | 22 | 3 1 2 |

Atomic structure:
```
data_SrMgAlZn2
_symmetry_space_group_name_H-M 'I 4 m m'
_symmetry_Int_Tables_number 107
_symmetry_space_group_name_Hall 'I 4 -2'
_cell_length_a 4.4887
_cell_length_b 4.4887
_cell_length_c 11.2903
_cell_angle_alpha 90.00
_cell_angle_beta 90.00
_cell_angle_gamma 90.00
loop_
_atom_site_label
_atom_site_type_symbol
_atom_site_fract_x
_atom_site_fract_y
_atom_site_fract_z
Sr1 Sr 0.0000 0.0000 0.0000
Mg1 Mg 0.0000 0.0000 0.3740
Al1 Al 0.0000 0.0000 0.6238
Zn1 Zn 0.0000 0.5000 0.2368
```

Record 4
This entry pairs a crystal structure of CuH6C9INCl with its calculated X-ray diffraction stick pattern. Radiation: Cu Ka. Structure: a DFT-relaxed cell (GGA-PBE, OQMD).
Lines closer than 0.1° are merged.